Hospice Team

Jessica Smith Placeholder

Someone pasted quantum chemistry results at this point
/*
No. 1
Here is 2 unconnected molecules or ions with the total composition C4H7N3O from the Open Molecules 2025 dataset. Energies are from ωB97M-V/def2-TZVPD.

Values from the calculation:
HOMO-LUMO gap = 0.2095 hartree
charge = 0
LUMO level = -2.43 eV

Each line ends with the Löwdin charge.
Geometry (Å):
C -2.2505 -0.0238 0.2368  -0.0869
C -0.8521 -0.3243 0.3943  -0.2965
C -0.1431 -0.9609 1.3527  -0.1257
C 0.1398 0.2604 -0.4349  -0.4897
H -2.5455 0.9823 0.8163  0.1298
H -2.9465 -1.0054 0.4755  0.1302
H -2.6439 -0.0415 -0.8088  0.0754
H -0.4980 -1.4363 2.3403  0.1407
H 2.8809 0.8247 -1.4516  0.1422
H 2.5465 1.4892 0.2061  0.1402
H 0.9805 0.0808 -2.4330  0.3552
N 1.2304 -0.9735 1.1683  0.0548
N 1.3873 -0.3855 -0.1284  -0.1726
N 2.6263 0.4494 -0.3277  -0.0208
O 0.0880 1.0643 -1.4059  0.0236

Forces on the atoms, in the same order (eV/Å):
C -4.5 -0.9 0.6
C 1.2 2.5 -3.2
C 4.4 -2.2 3.6
C 1.0 -3.7 2.2
H 0.1 -2.5 -1.3
H 1.7 2.5 0.7
H 1.0 1.1 0.4
H 0.5 0.7 -1.9
H -1.8 -2.0 4.0
H -0.3 -3.7 -1.7
H -2.2 2.7 2.0
N -2.4 0.1 -0.9
N -0.7 3.3 1.0
N 0.3 3.2 -1.0
O 1.7 -1.2 -4.5

No. 2
Here is a single C4H7N3O2 molecule from the Open Molecules 2025 dataset. Energies are from ωB97M-V/def2-TZVPD.

Values from the calculation:
HOMO-LUMO gap = 0.3471 hartree
SMILES = Cn1c(=O)[nH]c(=O)n1C
charge = 0
LUMO level = 0.65 eV

Each line ends with the Löwdin charge.
Geometry (Å):
C 0.4899 -0.4782 -1.4351  -0.0136
N -0.5792 -0.6005 -0.4851  -0.0477
C -1.8108 -1.1258 -0.7724  -0.5019
O -2.0946 -1.8465 -1.6943  0.0832
N -2.6369 -0.6719 0.2420  0.2278
C -1.9657 0.1635 1.1189  -0.5020
O -2.3952 0.7024 2.1063  0.0832
N -0.7022 0.2741 0.6025  -0.0478
C 0.4413 0.7155 1.3495  -0.0138
H 0.5606 0.5399 -1.8278  0.0975
H 1.4399 -0.7634 -0.9824  0.0879
H 0.2560 -1.1619 -2.2492  0.0961
H -3.6083 -0.9194 0.3311  0.1692
H 1.0530 -0.1291 1.6791  0.0975
H 1.0485 1.3983 0.7539  0.0880
H 0.0538 1.2404 2.2216  0.0964

Forces on the atoms, in the same order (eV/Å):
C 0.0 0.1 -0.1
N 0.0 -0.4 0.3
C 0.1 -0.1 0.2
O -0.2 -0.2 -0.4
N 0.0 0.0 0.0
C 0.0 0.1 -0.2
O -0.2 0.1 0.5
N -0.2 0.3 -0.2
C 0.1 -0.1 0.1
H 0.0 0.0 0.0
H 0.0 0.0 -0.1
H 0.0 0.0 0.1
H 0.1 0.0 0.0
H 0.0 0.0 0.0
H 0.0 0.0 0.1
H 0.0 0.0 -0.1

No. 3
Here is a molecular structure, C4H7N3O2 from the Open Molecules 2025 dataset. Energies are from ωB97M-V/def2-TZVPD.

Values from the calculation:
HOMO-LUMO gap (alpha / beta) = 0.2966 / 0.2966 hartree
charge = 0
LUMO level (alpha / beta) = 0.09 / 0.09 eV

Each line ends with the Löwdin charge.
Geometry (Å):
C -0.2437 0.4204 1.1961  -0.4734
C 0.0379 -0.5845 -0.5598  -0.3345
C -1.0438 0.2942 -0.4176  -0.1374
N 0.5934 1.4552 1.3289  0.1571
N -2.2804 -0.2155 -0.3719  0.0913
C 1.3687 -0.2422 -1.0778  -0.1562
O -0.1419 -1.9664 -0.5599  0.0202
N 1.8821 0.9236 -1.0793  0.0861
O -0.7774 -0.2284 2.0695  0.0593
H -0.6656 -2.1874 0.2266  0.1076
H 1.1133 1.7454 0.4992  0.0664
H 0.9737 1.6260 2.2468  0.1158
H -2.5014 -1.1785 -0.5932  0.1024
H -3.0046 0.3380 0.0571  0.1066
H 2.8105 0.9272 -1.4949  0.0622
*/
End of the quantum chemistry results

Jessica Smith

Executive Director

T: 519-354-3113
Extension 2104

Dr. Samantha Chandrasena

Medical Director

T: 519-354-3113

Melanie Watson Placeholder

Amber Jarrold

Hospice Navigator

T: 519-354-3113
Extension 2101

Jennifer Patterson

Care Manager

T: 519-354-3113
Extension 2103

Melanie Watson Placeholder

Sarah Baute

Human Resources Manager

T: 519-354-3113
Extension 2105

Karen Konecny-Brooks Placeholder

Melissa Cadarette

Supportive Care
Program Manager

T: 519-354-3113
Extension 1201

Melanie Watson Placeholder

Melanie Watson

Coordinator of Volunteer Services

T: 519-354-3113
Extension 2401

Karen Konecny-Brooks Placeholder

Karen Konecny-Brooks

Kitchen Coordinator

T: 519-354-3113
Extension 2407

Karen Konecny-Brooks Placeholder

Bri Webster

Administrative Coordinator

T: 519-354-3113
Extension 1200

Melanie Watson Placeholder

Alex McAlpine

Community Social Worker

T: 519-354-3113
Extension 1203

Karen Konecny-Brooks Placeholder

Stefanie Bultje

Residential Social Worker

T: 519-354-3113
Extension 1202

Bridget Phelan

Candace Rahn

Music Therapist
Karen Konecny-Brooks Placeholder

Kate Kubis

Clinical Coach

T: 519-354-3113
Extension 2106

Bridget Phelan

Bridget Phelan

Supportive & Spiritual Care Provider
Jessica Smith Placeholder

Jodi Maroney

Executive Director

T: 519-354-3113
Extension 2402

Jay Smith

Fundraising Manager

T: 519-354-3113
Extension 2408

Julia Earley

Community Relations Specialist

T: 519-354-3113
Extension 2404

Melanie Watson Placeholder

Diane Fahey

Donor Relations Coordinator

T: 519-354-3113
Extension 2403

Melanie Watson Placeholder

Katherine Stinson

Special Events Coordinaor

T: 519-354-3113
Extension 2409

Lauren Broeders

Administrative Assistant

T: 519-354-3113
Extension 2300

Who is caring for my loved one?

While most of the in-suite care is provided by our clinical staff, our team is made up of people with diverse skills and abilities so we can provide holistic care for the resident and their loved ones. This can include:


The Registered Nurse (RN) and Registered Practical Nurse (RPN) are responsible for the nursing care of our residents and their families in accordance with the Regulated Health Professions Act (1991) and the College of Nurses of Ontario.


We have a group of core physicians experienced in palliative care who serve our residents in addition to their community practice. The physicians take turns being on-call to accept admissions and follow their resident’s care throughout their entire stay. Physicians visit Hospice regularly, based on the resident’s need.

Personal Support Workers (PSW)

The PSW is a caregiver with hospice palliative care training who assists our residents with their daily personal care needs and supports the resident and family through the dying process.

Social Workers

Our registered Social Workers provide compassionate, non-judgemental support for individuals and families experiencing loss. They will provide counselling in a safe, caring environment to express feelings and move towards healing; help manage the stress associated with the end-of-life, grief and loss; provide assistance to overcome crisis situations; connect individuals to appropriate supports and provide advocacy when needed.

Spiritual Care Provider

The Spiritual Care Provider provides ongoing spiritual, emotional, and social support regardless of faith or life stance. They will address spiritual concerns or struggles to promote coping and spiritual well-being; identify sources of strength, meaning and hope; facilitate spiritual/religious rituals, rites or practices; assist with end-of-life perceptions and planning.

Registered Music Therapist

Offered to our residents and their families our Accredited Music Therapist will use music and musical elements to promote, maintain and restore personal health. Music Therapy can: help with pain & symptom management; decrease anxiety helping with relaxation; be an outlet for emotional expression; provide connection to others and decrease isolation; encourage reminiscence and life review.


We have both resident support and operational support volunteers. Resident support volunteers interact with residents and families. Operational support volunteers complete many valuable tasks that keep our organization going.


Hospice Board of Directors

Keith Graham - Chair
Judy Smith - Secretary
Joan Byng
Andre Cleroux
Stephanie Holiga
Aidan Gilhula

Melinda Katzman
Trevor Mapplebeck
Barb McEwan
Ashley McLellan
Mike Packer
Jocelyn Watson